Become A CoachSource Qualified Coach

What Does it Mean To Be CoachSource Qualified?
The CoachSource Coaches Network stands as the pinnacle of industry excellence, attracting only the most accomplished coaches worldwide.
Elevate your coaching career by joining our elite community, where you’ll collaborate with the best minds in the field, access unparalleled resources, and gain recognition as part of a prestigious network that sets the standard for excellence in executive coaching.

Our Qualification Criteria
Leadership Effectiveness Coaching
Specializing in helping leaders achieve positive, long-term change in leadership behavior over time.
Advanced Degree
MBA, MA, MS or Ph.D. in org. development, org. psychology, business or related fields.
Extensive Experience Coaching Senior Leaders
C-Level, EVP/SVP, VP, Director coaching experience.
Business Experience
Prior senior leadership positions in organizations, line management and Fortune / FTSE 500 preferred.
Fortune/FTSE 500 Client List
Client experience with similar caliber to our clients.
Years of Experience Coaching
Min 5 years as practitioner, 10+ years preferred, min 2 years independent, specific coach training and certification.
Executive Presence
Demonstrates the overall presence of a seasoned, senior executive coach.
Apply to be a CoachSource Qualified Coach
Please Note: At this time, we are not accepting unsolicited applications for US-based coaches.
Other coaches who meet or exceed the coach qualifications, and most of the following criteria may be considered at CoachSource’s discretion.
- Work experience as a senior leader/senior executive inside large corporations, especially executives with full P&L accountabilities
- Holds current ICF PCC/MCC, EMCC/SCP or MCP certifications
- Expands the breadth of diversity of our global coach community
- Coaches fluently in two or more languages
- Certified to purchase and administer the most requested instruments and assessments (i.e., Hogan, Leadership Circle 360, KF4D, KF360, etc.)
- Tech-savvy with significant coaching experience managing and coaching on multiple virtual platforms (i.e., Zoom, MS Teams, WebEx, GoToMeeting, etc), and can administer online coaching tools and applications (i.e., on-line surveys, virtual 360 feedback tools, etc.)
Please check this page in the future for further updates.
How to Apply
- Email us to request a CoachSource application and it will be sent to you for your completion, or you may also download a Word version by clicking here.
• Misplaced calculated crystals:
+++
The following is a computed XRD peak list of Ce3Th2Sb3. It was derived from a structure optimized by DFT (GGA-PBE), using Cu Kα (weighted mean of Kα1 and Kα2).
Intensities are scaled so that the largest is 100.

Principal peaks in the range 2θ from 10° to 90°, in order of rising 2θ:
Position (°2θ)  Rel. int.  h k l
10.9  30  1 0 0
29.2  27  2 1 0
32.3  52  2 1 1
33.2  76  3 0 0
33.7  100  1 1 2
48.0  30  2 2 2
51.8  21  4 1 0
67.4  20  3 0 4

Atomic structure:
a = 9.3511 Å, b = 9.3511 Å, c = 6.4804 Å
α = 90.00°, β = 90.00°, γ = 120.00°
Element x y z (fractional)
Ce 0.0000 0.2652 0.2500
Ce 0.0000 0.7348 0.7500
Ce 0.2652 0.0000 0.2500
Ce 0.2652 0.2652 0.7500
Ce 0.7348 0.0000 0.7500
Ce 0.7348 0.7348 0.2500
Th 0.3333 0.6667 0.0000
Th 0.3333 0.6667 0.5000
Th 0.6667 0.3333 0.0000
Th 0.6667 0.3333 0.5000
Sb 0.0000 0.3795 0.7500
Sb 0.0000 0.6205 0.2500
Sb 0.3795 0.0000 0.7500
Sb 0.3795 0.3795 0.2500
Sb 0.6205 0.0000 0.2500
Sb 0.6205 0.6205 0.7500

* * * * *

# 1
Diffraction record for DyUSeO2. The powder diffractogram is simulated, not measured: it uses a DFT-relaxed cell (GGA-PBE, Alexandria) and Cu Kα.

Most intense lines, 2θ from 10° to 80°, by intensity:
2θ/deg  Rel. int.
32.18  100
33.15  44
58.60  37
24.41  25
47.58  21
56.75  17
44.86  16
58.31  9
78.72  8
79.26  8
67.32  8
78.47  8

a b c (Å): 6.658 6.658 6.658
angles (deg): 146.64 146.64 47.90
Fractional coordinates of all 5 atoms:
1 Dy 0.000 0.000 0.000
2 U 0.296 0.296 0.000
3 Se 0.651 0.651 0.000
4 O 0.403 0.903 0.500
5 O 0.903 0.403 0.500

---

# 2
Diffraction record for DyUSe2O. The powder diffractogram is simulated, not measured: it uses a DFT-relaxed cell (GGA-PBE, Alexandria) and Cu Kα.

Most intense lines, 2θ from 10° to 80°, by intensity:
2θ/deg  Rel. int.
31.95  100
25.87  61
34.29  58
41.37  46
45.81  42
25.59  34
29.65  28
58.45  26
51.11  24
12.71  21
53.20  19
53.36  18

a b c (Å): 3.962 3.962 13.924
angles (deg): 90.00 90.00 90.00
Fractional coordinates of all 10 atoms:
1 Dy 0.250 0.250 0.102
2 Dy 0.750 0.750 0.898
3 U 0.250 0.250 0.590
4 U 0.750 0.750 0.410
5 Se 0.250 0.250 0.309
6 Se 0.250 0.250 0.890
7 Se 0.750 0.750 0.110
8 Se 0.750 0.750 0.691
9 O 0.250 0.750 0.500
10 O 0.750 0.250 0.500

---

# 3
Diffraction record for SmDy2TcO8. The powder diffractogram is simulated, not measured: it uses a DFT-relaxed cell (GGA-PBE, Alexandria) and Cu Kα.

Most intense lines, 2θ from 10° to 80°, by intensity:
2θ/deg  Rel. int.
24.84  100
31.66  87
48.23  68
35.42  25
61.25  19
57.50  17
50.96  17
60.19  17
72.76  12
66.13  10
77.31  9
53.86  7

a b c (Å): 5.068 6.808 5.070
angles (deg): 90.00 90.08 90.00
Fractional coordinates of all 12 atoms:
1 Sm 0.000 0.000 0.000
2 Dy 0.500 0.249 0.500
3 Dy 0.500 0.751 0.500
4 Tc 0.000 0.500 0.000
5 O 0.184 0.296 0.818
6 O 0.184 0.704 0.818
7 O 0.265 0.500 0.267
8 O 0.312 0.000 0.313
9 O 0.688 0.000 0.687
10 O 0.735 0.500 0.733
11 O 0.816 0.296 0.182
12 O 0.816 0.704 0.182

---

# 4
+++
- Complete your application and email it back to us in Word format, along with an updated professional photo in .jpeg or .png format.
- We will confirm receipt of your application and notify you of next steps.